Post your metal party pics!!!

Dead Winter

Apr 30, 2002
I'll start it off...Pasquetta...the day after Easter. Most people take picnics in Italy and stuff, so we had the Anti-Pasquetta and organized all our friends and their bands together in the middle of nowhere to just go crazy and eat, drink, and have fun. Here's some of the debauchery:


Me and Annalisa just chilling because we couldn't stand up


Some pics of one of our shows in my old just turned ugly because everyone drank too much and it turned into more of a "let's smash everything we can" instead of a concert. The sombrero just kept going around from band member to band member to mosher to people in the crowd. Good times...



what's with the camo shorts?

(Materials data, kept here for reference)
........
# SiHIrSe2 | Alexandria via LeMat-Bulk | SCAN | single point on PBEsol structure
data_SiHIrSe2
_chemical_formula_sum 'Si1 H1 Ir1 Se2'
_cell_length_a 4.860
_cell_length_b 4.860
_cell_length_c 3.361
_cell_angle_alpha 90.00
_cell_angle_beta 90.00
_cell_angle_gamma 90.00
_symmetry_space_group_name_H-M 'P 4/m m m'
_symmetry_Int_Tables_number 123
_symmetry_space_group_name_Hall '-P 4 2'
loop_
_atom_site_label
_atom_site_type_symbol
_atom_site_fract_x
_atom_site_fract_y
_atom_site_fract_z
_atom_site_occupancy
Si1 Si 0.000 0.000 0.000 1
H1 H 0.500 0.500 0.000 1
Ir1 Ir 0.500 0.500 0.500 1
Se1 Se 0.000 0.500 0.500 1
# Theoretical density   7.9 g/cm³
# DFT total energy   -122.958 eV for the cell shown
# Size of the total moment   0.00 Bohr magnetons per cell

# K2CaAg | Alexandria via LeMat-Bulk | SCAN | single point on PBEsol structure
data_K2CaAg
_chemical_formula_sum 'K2 Ca1 Ag1'
_cell_length_a 3.947
_cell_length_b 3.947
_cell_length_c 10.640
_cell_angle_alpha 90.00
_cell_angle_beta 90.00
_cell_angle_gamma 90.00
_symmetry_space_group_name_H-M 'P 4/m m m'
_symmetry_Int_Tables_number 123
_symmetry_space_group_name_Hall '-P 4 2'
loop_
_atom_site_label
_atom_site_type_symbol
_atom_site_fract_x
_atom_site_fract_y
_atom_site_fract_z
_atom_site_occupancy
K1 K 0.000 0.000 0.186 1
Ca1 Ca 0.500 0.500 0.500 1
Ag1 Ag 0.500 0.500 0.000 1
# Theoretical density   2.3 g/cm³
# Formation energy from the elements   158 meV/atom
# DFT total energy   -57.055 eV for the cell shown
# E above lowest polymorph   163 meV per atom
# Size of the total moment   0.01 Bohr magnetons per cell

# SrCe2Se4 | Alexandria via LeMat-Bulk | SCAN | single point on PBEsol structure
data_SrCe2Se4
_chemical_formula_sum 'Sr4 Ce8 Se16'
_cell_length_a 8.880
_cell_length_b 8.880
_cell_length_c 8.884
_cell_angle_alpha 90.00
_cell_angle_beta 90.00
_cell_angle_gamma 90.00
_symmetry_space_group_name_H-M 'I -4 2 d'
_symmetry_Int_Tables_number 122
_symmetry_space_group_name_Hall 'I -4 2bw'
loop_
_atom_site_label
_atom_site_type_symbol
_atom_site_fract_x
_atom_site_fract_y
_atom_site_fract_z
_atom_site_occupancy
Sr1 Sr 0.000 0.000 0.000 1
Ce1 Ce 0.127 0.750 0.625 1
Se1 Se 0.078 0.671 0.945 1
# Theoretical density   6.5 g/cm³
# DFT total energy   -827.494 eV for the cell shown
# E_form (uncorrected)   -2.165 eV per atom
# Size of the total moment   8.00 Bohr magnetons per cell

# LiCa2Au | Alexandria via LeMat-Bulk | SCAN | single point on PBEsol structure
data_LiCa2Au
_chemical_formula_sum 'Li2 Ca4 Au2'
_cell_length_a 3.636
_cell_length_b 5.072
_cell_length_c 11.291
_cell_angle_alpha 90.00
_cell_angle_beta 90.00
_cell_angle_gamma 90.00
_symmetry_space_group_name_H-M 'I m m 2'
_symmetry_Int_Tables_number 44
loop_
_symmetry_equiv_pos_as_xyz
'x,y,z'
'-x,-y,z'
'-x,y,z'
'x,-y,z'
'x+1/2,y+1/2,z+1/2'
'-x+1/2,-y+1/2,z+1/2'
'-x+1/2,y+1/2,z+1/2'
'x+1/2,-y+1/2,z+1/2'
loop_
_atom_site_label
_atom_site_type_symbol
_atom_site_fract_x
_atom_site_fract_y
_atom_site_fract_z
_atom_site_occupancy
Li1 Li 0.000 0.000 0.000 1
........
(Back to the entry)

DON'T ASK ME. We all met there later at the place and everyone's wearing camo pants or shorts. Fucking gay. I wear mine all the time because they're comfortable and I don't consciously think about what I'm going to wear to a show. Plus mine are fucking real anyway since I've actually been to Iraq. I felt like such a fucking dork, but the show was crappy anyway because everyone was jumping on tables and throwing shit around and falling. The one man pit was my friend who completely loses his mind when he drinks. The reason there was a one man pit was because he poured beer all over my then-bassist and in turn my then-bassist poured beer all over him...right where the pit woulda been. So there's a huge puddle of beer on the floor and no one can stand up because everyone keeps busting their asses. It was very comical and very ironic because the weekend before we had a kickass show with a couple of hundred people in this little club and everyone was going insane. My friend was at that show too and he kept stage diving and stage diving and when everyone got tired of carrying his big ass, they stopped catching him...but he kept stage diving. I think he broke a rib at that show. Then he comes to this one and can't stand up because he's so out of his mind and keeps busting his ass over and over. Everyone there was just watching him go crazy and laughing instead of moshing with him. Shitty concert, but it was funny.

This is an old pic, that band was just for fun for me. They're still together but I've moved on to bigger and better endeavors. My new project will be an album/demo first, THEN playing around. There are TONS of metal bands in this area, but it's a little oversaturated. I want my project to stay in the dark for a while and then when it's finally finished and perfect to just explode and melt everyone's fucking faces.